Wednesday, March 5, 2008

According to Bob Dutko, Black People Are A Bunch of Lazy, Dumb Sluts

Today, Bob recited The Heritage Foundation's alleged debunking of a study done by The Eisenhower Foundation.

The Eisenhower Foundation released a poverty study to show how well the anti-poverty policies of the Johnson administration worked. According to TEF, we still have a lot of work to do to eliminate poverty, inequality, racial justice, and crime.

I think that most people would agree with this. I think that most Americans believe that this country still has too many people living in poverty, and that minorities make up a higher percentage of people living in poverty.

But The Heritage Foundation, putting their two cents in found that blaming the victim explains inequality:
Robert Rector, senior research fellow on poverty and family issues at the Heritage Foundation, says the Eisenhower Foundation may claim to be nonpartisan, but in fact comprises a small group of "extreme left-wingers."
According to Rector, the report completely ignores the three major causes of poverty. "One is that 69 percent of black children are born out of wedlock and those children are raised without a father in the home," he says. "The second is lower levels of work and more welfare receipt; if you're on welfare, [it] doesn't pay enough for you to get out of poverty. The third is low levels of actual educational attainment -- real math and verbal skills."
I'll translate: The Heritage Foundation thinks that black people are poor because they all just sleep around and are too busy sucking off of welfare to get a real job or education.

Bob repeated this word for word, without even reading the study!

Let's take a look at The Heritage Foundation:

The Heritage Foundation was created by racist beer baron Joseph Coors. The Coors family has an extensive history of racism, as can be documented here. Joseph Coors hired Roger Pearson to be co-editor of The Hertiage Foundaton's Policy Review. Pearson wrote a number of racist works, including the book "Race and Civilization." The racism of THF is evidenced in their reports on racism, in which everyone of them seeks to claim that racism doesn't exist, or isn't a problem. The real problem, according to them, is that black people are lazy and dumb. Here's a quote from one of their articles:
"So blaming racism for our lack of achievement is, at best, a misplaced focus and is, at worst, what I call social insanity. Now, let me tell you what I mean by social insanity. If you believe that racism prevents you from achieving any particular goal, then inherent in that belief is the granting of the power to succeed to the partisans of racism."
In other words, pretend racism doesn't exist and it'll simply go away!

But back to Bob.

Bob has knowingly quoted a racist organization that seeks to make black people look lazy and stupid. And he did it with a quote that is designed to do just that. By giving credibility to the organization through quoting such rubbish, Bob has decided to put into the minds of his white listeners that:

1) Racism isn't a problem in America.
2) Black people are in poverty because they're lazy, slutty, and dumb.

Remember this the next time Bob wants to bring up the racism of people he seeks to demonize.


resipso said...

Listening to him often I think he has no idea that he's racist. In my experience a clear sign of a racist is one who says "I have black friends" some how this allows and validates all racist comments and beliefs you have. Let's see he attacks Barak Obama, Oprah, Jesse Jackson, Al Sharpton hmmm I think I see a pattern!

BJB said...

I stopped listening to Dutko a few years ago when I realized that he was hateful, racist, pompous, and as unlike Christ as the most vitriolic klansman. Bob tries to hide his sheet under "sheep's clothing," but he isn't fooling anyone, including himself. He does know that he is racist--he just will never admit it. I am a born again Christian and called to preach the gospel of Jesus Christ, but I believe that I am compelled to Christ-likeness--not just knowing more facts than the next person.

Mom2Eight said...

You guys are a little weird. I don't read any of that into anything he says. Seems to me like you are hateful towards conservative/Christian/Republican folks for whatever reason. You have the assumption that they are hateful before you even listen to a word they say. You just simply wait for them to speak and then you interpret, or translate it as you say, out of your own prejudices. I am sure you are thinking hateful thoughts about me right now, because I don't agree with you. Yet I feel no compulsion to hate you.

Someone pasted records of crystals at this point >
=====
This record from the Materials Project database describes an optimized crystal structure of Sr2LiV2Si4O14. The functional is PBE with a Hubbard U.

extended XYZ file:
```
23
Lattice="5.464 0.000 0.000 0.098 7.196 0.000 2.581 0.217 7.395" Properties=species:S:1:pos:R:3 pbc="T T T"
Sr 0.000 0.000 0.000
Sr 2.585 3.758 1.589
Li 3.228 1.952 4.514
V 2.600 3.886 6.289
V 2.520 7.243 2.995
Si 5.379 5.828 6.126
Si 5.371 1.881 6.216
Si 5.301 5.362 2.927
Si 5.280 2.147 2.973
O 1.083 1.441 2.278
O 1.179 5.906 2.210
O 2.518 0.292 4.812
O 2.586 3.776 4.633
O 3.972 2.496 6.814
O 4.018 5.216 6.810
O 3.782 1.665 2.600
O 5.301 0.251 6.571
O 3.916 5.936 2.313
O 5.331 2.119 4.615
O 5.379 5.573 4.538
O 6.716 5.217 6.845
O 6.708 2.495 6.911
O 5.335 3.744 2.509
```

Results
polymorph energy (0 for the lowest one): 0.000 eV/atom
energy: -7.443 eV per atom
crystal system: triclinic
space group: No. 1
DFT formation energy: -3.0340 eV per atom

* * * * *

Computed, not measured: an optimized crystal structure of Er3Ge3Ru2 at the meta-GGA r2SCAN level of DFT.

Cell: 5.757 5.757 13.791 Å, 90.00 90.00 136.97°
Fractional coordinates of all 16 atoms:
Er 0.079 0.921 0.613
Er 0.079 0.921 0.887
Er 0.353 0.647 0.750
Er 0.647 0.353 0.250
Er 0.921 0.079 0.113
Er 0.921 0.079 0.387
Ge 0.337 0.663 0.250
Ge 0.384 0.616 0.541
Ge 0.384 0.616 0.959
Ge 0.616 0.384 0.041
Ge 0.616 0.384 0.459
Ge 0.663 0.337 0.750
Ru 0.213 0.787 0.083
Ru 0.213 0.787 0.417
Ru 0.787 0.213 0.583
Ru 0.787 0.213 0.917

Calculated values
Energy of formation from the pure elements (kJ per mole of atoms): -83
Symmetry: No. 63
Raw total energy (eV/atom): -25.14

* * * * *

First-principles (PBE) data for As2PHBr3F11 after structural relaxation, as listed in Materials Project.

Values from the calculation:
Its total energy after the MP2020 corrections is -4.35 eV per atom. The space group is No. 11.

Cell: 9.0642 6.4073 12.2521 Å, 85.28 90.00 90.00°
Sites, in units of the cell vectors:
F: 0.2500 0.0230 0.0323
Br: 0.5568 0.6506 0.7959
F: 0.6140 0.9817 0.3792
F: 0.3856 0.3990 0.5765
F: 0.9435 0.8596 0.1106
F: 0.4435 0.1404 0.8894
F: 0.2500 0.1662 0.4460
Br: 0.9432 0.6506 0.7959
F: 0.1144 0.3990 0.5765
F: 0.0565 0.1404 0.8894
P: 0.2500 0.5406 0.1921
F: 0.3860 0.0183 0.6208
As: 0.2500 0.1343 0.8965
F: 0.7500 0.1141 0.1554
F: 0.2500 0.2610 0.7508
F: 0.7500 0.6081 0.0624
Br: 0.2500 0.7563 0.3162
F: 0.8856 0.6010 0.4235
H: 0.7500 0.3398 0.9106
Br: 0.4432 0.3494 0.2041
F: 0.7500 0.7390 0.2492
As: 0.7500 0.7944 0.4147
F: 0.7500 0.9770 0.9677
F: 0.2500 0.3919 0.9376
Br: 0.0568 0.3494 0.2041
F: 0.2500 0.8859 0.8446
F: 0.8860 0.9817 0.3792
H: 0.2500 0.6602 0.0894
Br: 0.7500 0.2437 0.6838
As: 0.7500 0.8657 0.1035
F: 0.7500 0.8338 0.5540
P: 0.7500 0.4594 0.8079
As: 0.2500 0.2056 0.5853
F: 0.5565 0.8596 0.1106
F: 0.1140 0.0183 0.6208
F: 0.6145 0.6010 0.4235

* * * * *

Compound: Cu2Se
Source: the Materials Project database
Functional: PBE
Structure: relaxed

Structure (extended XYZ):
```
3
=====

I know that others feel differently than I do, yet I don't feel the need to be hateful towards them. If I say that the system has not been kind to blacks and has kept them down by creating a welfare state that punishes marriage and independance, I am not insulting blacks, I am insulting liberal beaurocracy.

Also, to llbjdmom, he also has Jesse Lee Peterson on the show all the time and does not "attack" folks like Clarance Thomas, Condi Rice, etc. I see a pattern here too. He also "attacks" people like Al Gore, the Clintons and other liberals. Hmmm. The pattern seems to be that he attacks liberals, or more accurately liberal policies. Take a closer look and you might see that pattern too. Unless you think that Jesse Jackson is a conserative and Condi Rice is a liberal. You do sound a bit confused.

So if I say I prefer white bread, am I racist? Well, actually I do prefer wheat bread. Oh, I guess pointing that out makes me racist too. I guess I just can't win.

Anonymous said...

You guys are a little weird. ... Seems to me like you are hateful towards conservative/Christian/Republican folks for whatever reason. ... I am sure you are thinking hateful thoughts about me right now, because I don't agree with you.

Starting a conversation with insults, e.g., "weird" and "hateful", probably isn't the best way to achieve a rational discourse. But perhaps you're not interested in a rational discourse...

(Inserted here: crystal structures)
........
DFT (PBE) results for crystalline Mg14CrCu at its relaxed geometry.

The structure in POSCAR format:
```
Mg14CrCu
1.0
-0.1934 -0.6606 -6.2366
4.1135 -3.3198 3.3803
-6.6841 -7.2854 0.9789
Mg Cr Cu
14 1 1
Cartesian
2.5576 -3.7840 1.9062 Mg
-0.7778 -7.4350 2.3795 Mg
0.4123 -2.4627 -2.9082 Mg
-2.9441 -6.0924 -2.4197 Mg
2.4605 -4.1157 -1.2251 Mg
-0.8739 -7.7631 -0.7185 Mg
-1.8385 -3.4973 -1.0954 Mg
-5.2241 -7.1875 -0.5996 Mg
0.1463 -5.0990 0.5356 Mg
-3.2394 -8.7893 1.0314 Mg
-1.9385 -3.8391 -4.3229 Mg
-5.3242 -7.5294 -3.8270 Mg
0.0749 -5.4954 -2.5765 Mg
-3.2677 -9.1387 -2.0870 Mg
-2.8386 -5.7701 0.6992 Cr
0.5034 -2.1274 0.2097 Cu
```

Calculated values
Energy of formation from the pure elements   0.088 eV/atom



DFT (PBE) results for crystalline MgCrCu3Se4 at its relaxed geometry.

The structure in POSCAR format:
```
MgCrCu3Se4
1.0
5.7722 0.0000 0.0000
0.0000 5.7722 0.0000
0.0000 0.0000 5.7722
Mg Cr Cu Se
1 1 3 4
Cartesian
2.8861 2.8861 2.8861 Mg
0.0000 0.0000 0.0000 Cr
0.0000 2.8861 0.0000 Cu
0.0000 0.0000 2.8861 Cu
2.8861 0.0000 0.0000 Cu
1.3978 1.3978 1.3978 Se
4.3744 4.3744 1.3978 Se
1.3978 4.3744 4.3744 Se
4.3744 1.3978 4.3744 Se
```

Calculated values
Energy of formation from the pure elements   -0.567 eV/atom



DFT (PBE) results for crystalline MnCr8Cu3S16 at its relaxed geometry.

The structure in POSCAR format:
```
MnCr8Cu3S16
1.0
7.0084 0.0000 0.0000
0.0000 7.0084 0.0000
0.0000 0.0000 9.9113
Mn Cr Cu S
1 8 3 16
Cartesian
3.5042 3.5042 4.9557 Mn
5.2995 0.0000 6.1984 Cr
1.7525 3.5042 1.2020 Cr
1.7089 0.0000 6.1984 Cr
5.2559 3.5042 1.2020 Cr
0.0000 1.7089 3.7129 Cr
3.5042 5.2559 8.7093 Cr
3.5042 1.7525 8.7093 Cr
0.0000 5.2995 3.7129 Cr
0.0000 0.0000 0.0000 Cu
3.5042 0.0000 2.4755 Cu
0.0000 3.5042 7.4358 Cu
5.3891 3.5042 3.6178 S
1.8649 0.0000 8.5900 S
1.6193 3.5042 3.6178 S
5.1435 0.0000 8.5900 S
3.5042 1.6193 6.2935 S
0.0000 5.1435 1.3213 S
3.5042 5.3891 6.2935 S
0.0000 1.8649 1.3213 S
1.6403 0.0000 3.7960 S
5.1470 3.5042 8.7547 S
5.3681 0.0000 3.7960 S
1.8614 3.5042 8.7547 S
3.5042 1.8614 1.1566 S
0.0000 5.3681 6.1153 S
3.5042 5.1470 1.1566 S
0.0000 1.6403 6.1153 S
```

Calculated values
E above lowest polymorph   326.7 meV/atom
Energy of formation from the pure elements   -0.613 eV/atom



DFT (PBE) results for crystalline MnCr8Cu3S16 at its relaxed geometry.

The structure in POSCAR format:
```
MnCr8Cu3S16
1.0
11.6059 -3.5118 0.0000
11.6059 3.5118 0.0000
10.5432 0.0000 5.9891
Mn Cr Cu S
1 8 3 16
Cartesian
2.1095 0.0000 0.3743 Mn
25.3770 0.0000 4.5026 Cr
8.4254 0.0000 1.4949 Cr
11.0420 1.7317 2.9745 Cr
27.9732 1.7378 5.9822 Cr
11.0420 -1.7317 2.9745 Cr
27.9732 -1.7378 5.9822 Cr
11.5660 0.0000 0.0213 Cr
28.4990 0.0000 3.0185 Cr
18.9838 0.0000 3.3682 Cu
14.7701 0.0000 2.6206 Cu
31.6468 0.0000 5.6150 Cu
4.3841 0.0000 0.7779 S
21.2414 0.0000 3.7688 S
23.6925 1.6185 5.1527 S
18.4237 -1.8701 2.1723 S
23.6925 -1.6185 5.1527 S
18.4237 1.8701 2.1723 S
24.1823 0.0000 2.3926 S
........
(So much for the crystal structures)

Yet I feel no compulsion to hate you. I know that others feel differently than I do, yet I don't feel the need to be hateful towards them.

OK. We're hateful and you're not. We're bad and you're good. Your heart is pure and ours are black as coal. Fine.

If I say that the system has not been kind to blacks and has kept them down by creating a welfare state that punishes marriage and independance (sic), I am not insulting blacks, I am insulting liberal beaurocracy (sic).

Well, now we've reached the "meat" of your argument I suppose. I would compare it to the thesis presented by Charles Murray in Losing Ground which I read as a college student. The premise, IIRC, was that (1) marriage was the best way for people to get out of poverty since one person could work while the other takes care of the kids and (2) that government welfare programs (such as ADC/AFDC) encouraged single mothers not to be married because benefits would be reduced and not to work because it was less profitable than the government dole. In fact, this premise led the Republican-led Congress to pass a big welfare reform act in 1996 which required work from the adult recipients and limited the amount of time that benefits could be obtained.

Of course, one problem with Murray's premise (and yours, I believe) is that it's based on the belief that living solely on welfare payments is a somehow desirable situation. From what I understand, living on these payments alone typically wouldn't even get the recipient above the poverty line.

But, as I mentioned, many of Murray's concerns were addressed by the 1996 law. So what I'm wondering is, what precisely are your concerns with the current "welfare state"? What changes would you make that would make life better for the poor?

You really should go and take a quick gander at the Eisenhower Foundation study that DJ mentions in the original post. One finding is that "[t]he American child poverty rate is about 4 times the average poverty rate for Western European countries." I assume you believe that Western European countries have more liberal welfare policies than the U.S. So, if that's true, how do you explain the apparent success of those countries in addressing the issue of child poverty?

So if I say I prefer white bread, am I racist? Well, actually I do prefer wheat bread. Oh, I guess pointing that out makes me racist too. I guess I just can't win.

I really have no idea what you're talking about here. Racism has nothing to do with carbohydrate preferences. But if you're admitting that you're a racist, I'll have to take you on your word.

Unknown said...

You think Bob Dutko is demonizing, so you post about it on your demonizing Bob Dutko blog site.

Crystal structures, kept here for reference =
- - -
The following is a DFT calculation (PBE-GGA) of a relaxed structure of AlTl2F5.

a b c (Å): 6.3651 6.3651 7.5922
angles (deg): 90.00 90.00 90.47
Closest atoms and distances in Å follow each position.
Sites, in units of the cell vectors:
Al  0.0000  0.0000  0.0000  6 F 1.81-1.90
Al  0.0000  0.0000  0.5000  6 F 1.81-1.90
Tl  0.0318  0.4902  0.7500  10 F 2.86-3.19
Tl  0.4902  0.0318  0.2500  10 F 2.86-3.19
Tl  0.5098  0.9682  0.7500  10 F 2.86-3.19
Tl  0.9682  0.5098  0.2500  10 F 2.86-3.19
F  0.0099  0.9901  0.7500  2 Al 1.90
F  0.2005  0.7995  0.0117  1 Al 1.81
F  0.2005  0.7995  0.4883  1 Al 1.81
F  0.2026  0.2026  0.0000  1 Al 1.82
F  0.2026  0.2026  0.5000  1 Al 1.82
F  0.7974  0.7974  0.0000  1 Al 1.82
F  0.7974  0.7974  0.5000  1 Al 1.82
F  0.7995  0.2005  0.5117  1 Al 1.81
F  0.7995  0.2005  0.9883  1 Al 1.81
F  0.9901  0.0099  0.2500  2 Al 1.90

Summary:
- Calculated formation energy: -2.97 eV/atom
- Total energy: -4.939 eV per atom
- E above lowest polymorph: 0.0010 eV per atom
- Mass density: 5.73 g cm⁻³
- E (MP2020): -83.651 eV for the cell shown



The following is a DFT calculation (PBE-GGA) of a relaxed structure of AlFe3.

a b c (Å): 5.7452 5.7452 5.7452
angles (deg): 90.00 90.00 90.00
Closest atoms and distances in Å follow each position.
Sites, in units of the cell vectors:
Al  0.0000  0.0000  0.0000  8 Fe 2.49
Al  0.0000  0.5000  0.5000  8 Fe 2.49
Al  0.5000  0.0000  0.5000  8 Fe 2.49
Al  0.5000  0.5000  0.0000  8 Fe 2.49
Fe  0.0000  0.0000  0.5000  8 Fe 2.49
Fe  0.0000  0.5000  0.0000  8 Fe 2.49
Fe  0.2500  0.2500  0.2500  4 Fe 2.49, 4 Al 2.49
Fe  0.2500  0.2500  0.7500  4 Fe 2.49, 4 Al 2.49
Fe  0.2500  0.7500  0.2500  4 Fe 2.49, 4 Al 2.49
Fe  0.2500  0.7500  0.7500  4 Fe 2.49, 4 Al 2.49
Fe  0.5000  0.0000  0.0000  8 Fe 2.49
Fe  0.5000  0.5000  0.5000  8 Fe 2.49
Fe  0.7500  0.2500  0.2500  4 Fe 2.49, 4 Al 2.49
Fe  0.7500  0.2500  0.7500  4 Fe 2.49, 4 Al 2.49
Fe  0.7500  0.7500  0.2500  4 Fe 2.49, 4 Al 2.49
Fe  0.7500  0.7500  0.7500  4 Fe 2.49, 4 Al 2.49

Summary:
- Calculated formation energy: -0.20 eV/atom
- Total energy: -7.486 eV per atom
- Mass density: 6.81 g cm⁻³



The following is a DFT calculation (PBE-GGA) of a relaxed structure of Al3Fe.

a b c (Å): 5.3750 5.3750 4.3738
angles (deg): 90.00 90.00 120.00
Closest atoms and distances in Å follow each position.
Sites, in units of the cell vectors:
Al  0.1713  0.3426  0.2500  8 Al 2.61-2.76, 4 Fe 2.66-2.69
Al  0.1713  0.8287  0.2500  8 Al 2.61-2.76, 4 Fe 2.66-2.69
Al  0.3426  0.1713  0.7500  8 Al 2.61-2.76, 4 Fe 2.66-2.69
Al  0.6574  0.8287  0.2500  8 Al 2.61-2.76, 4 Fe 2.66-2.69
Al  0.8287  0.1713  0.7500  8 Al 2.61-2.76, 4 Fe 2.66-2.69
Al  0.8287  0.6574  0.7500  8 Al 2.61-2.76, 4 Fe 2.66-2.69
Fe  0.3333  0.6667  0.7500  12 Al 2.66-2.69
Fe  0.6667  0.3333  0.2500  12 Al 2.66-2.69

Summary:
- Calculated formation energy: -0.15 eV/atom
- Total energy: -5.081 eV per atom
- Total magnetic moment: 0.6 μB per cell
- Mass density: 4.15 g cm⁻³
- - -

Quite ironic.

DJ said...

Mom2Eight, conservative doesn't mean Christian, no matter what Bob tells you.

Steve, I'll gladly demonize racists.

Unknown said...

I believe that Bob is a racist and I am no longer supporting his show. On Martin Luther King Jr. day 2011 his first topic of choice was not focusing on the good works that Dr.Martin Luther King Jr. did, but the fact that 72% of black women are single mothers. The first three callers were white. One woman said she believed that black women had alot of babies so that they could get a bigger welfare check. As the conversation continued some point Bob stated that he agreed with EVERYTHING she was saying. A black woman called in and said that she believed that the problem started with slavery. She pointed out that when you snatch fathers out of homes for hundreds of years and dehumanize a race it plays a role. She also stated that she felt there is a spiritual stronghold going on that needs to be broken. He then asked her: "What does something that happened 150 years ago have to do with now?" wow. He just doesn't care. I will never listen to his show again.